Get Yourself Right
This morning I’m feeling inspired because I want to “get myself right” as Wes Watson says.
His advice is to become the best version of yourself first before you can help anyone else.
He made a huge career out of becoming the best version of himself physically and mentally so that he was in a place where could help others without feeling like a fraud. That simple sentence meant everything to me this morning because I’ve been feeling like a fraud having a website trying to help others with self development when I’m looking and feeling the way I do in this body.
I feel inspired to become my best self so I can help others.
I’ve also been thinking a lot about gearing my website toward my students. I don’t really want to share my insights on Facebook or with my friends because of fear basically. I don’t want people to think I’m ridiculous and to be honest they probably would because right now I’m not ready.
I’m still unhappy with myself because I’m unhappy with my body and it’s no one’s fault but my own because I’m not doing the work while still expecting this body to change for the better.
My feelings around sharing this website with my family and friends might change when I “get myself right.” For me, that means doing the work every day to become my best physically and mentally.
This is the first step, writing my journey down so I don’t forget what it’s like. I want to make sure I remember how terrible this unhealthy place is and I want to prove to others that life is better when you look your best.
I don’t want to treat diet and exercise like a punishment I want to treat it as a necessity for happiness.
I’m thinking that the students I teach would be a great opportunity for me to make an impact on this world. I know I’m doing it all the time because I can see it on students faces when I’m working with them. I know I can make kids feel better about themselves by the way I treat them and purposely build them up but can I also use this to make a business? Can I teach the students what I’m learning?
My goal isn’t to make money off my students but I do think it’s a great opportunity to help my students now and when they move on to High School. I wonder if that would be inappropriate? Would I be able to maintain connections with my students as they move on to High School.
I’d like to make this happen with an art therapist of mine who is going to have her own practice soon. I think if she creates a business, I could be involved with it in some way. I just want to help people feel better and become more confident in themselves.
Thats my passion and I’m realizing it more and more everyday. If we could start some type of community centre to help kids build up their confidence I think that would be a great thing. It makes me want to cry to be honest, that’s how much I want it.
I might have to make my next degree have something to do with counselling. But more than that, I want to be a life coach. I like the idea of helping people realize their potential so I can help equip them to become the best version of themselves.
**These calculated crystals were left in the piece by mistake:**
........
Record 1
Material: CsK2AlSb2
Method: DFT, GGA-PBE
State: optimized geometry

Structure (CIF):
```
data_CsK2AlSb2
_cell_length_a 9.444
_cell_length_b 14.268
_cell_length_c 7.423
_cell_angle_alpha 90.00
_cell_angle_beta 90.00
_cell_angle_gamma 90.00
_space_group_name_H-M_alt 'I b a m'
_space_group_IT_number 72
_space_group_name_Hall '-I 2 2c'
loop_
_atom_site_label
_atom_site_type_symbol
_atom_site_fract_x
_atom_site_fract_y
_atom_site_fract_z
Cs1 Cs 0.000 0.000 0.250
K1 K 0.171 0.320 0.000
Al1 Al 0.000 0.500 0.250
Sb1 Sb 0.170 0.408 0.500
```

## Properties
The theoretical density comes out at 3.2 g cm⁻³. The formation energy (no corrections) comes out at -2.51 eV/f.u.

Record 2
Material: Cs2KAlSb2
Method: DFT, GGA-PBE
State: optimized geometry

Structure (CIF):
```
data_Cs2KAlSb2
_cell_length_a 8.288
_cell_length_b 16.735
_cell_length_c 7.397
_cell_angle_alpha 90.00
_cell_angle_beta 90.00
_cell_angle_gamma 90.00
_space_group_name_H-M_alt 'I b a m'
_space_group_IT_number 72
_space_group_name_Hall '-I 2 2c'
loop_
_atom_site_label
_atom_site_type_symbol
_atom_site_fract_x
_atom_site_fract_y
_atom_site_fract_z
Cs1 Cs 0.232 0.172 0.000
K1 K 0.000 0.500 0.250
Al1 Al 0.000 0.000 0.250
Sb1 Sb 0.184 0.086 0.500
```

## Properties
The theoretical density comes out at 3.7 g cm⁻³. The formation energy (no corrections) comes out at -2.76 eV/f.u.

Record 3
Material: Cs6K3AlSb4
Method: DFT, GGA-PBE
State: optimized geometry

Structure (CIF):
```
data_Cs6K3AlSb4
_cell_length_a 11.1669
_cell_length_b 11.1669
_cell_length_c 11.6920
_cell_angle_alpha 90.00
_cell_angle_beta 90.00
_cell_angle_gamma 120.00
_space_group_name_H-M_alt 'P 63/m m c'
_space_group_IT_number 194
_space_group_name_Hall '-P 6c 2c'
loop_
_atom_site_label
_atom_site_type_symbol
_atom_site_fract_x
_atom_site_fract_y
_atom_site_fract_z
Cs1 Cs 0.2089 0.4178 0.0435
K1 K 0.1195 0.2391 0.7500
Al1 Al 0.3333 0.6667 0.7500
Sb1 Sb 0.0000 0.0000 0.0000
Sb2 Sb 0.0558 0.5279 0.7500
```

## Properties
The theoretical density comes out at 3.8 g cm⁻³. The formation energy (no corrections) comes out at -6.23 eV/f.u.
........
I love the quote I heard recently that said, “Help one person and you change the world.” I know that if I can help one person to feel better about themselves and then give them the strategies to continue on their own then they’ll also help and teach others the same things. I feel excited about this and I really hope I can make this work.
One step at a time. I have to focus on myself first.
Today that looks like fasting until I get home from work, making sure to get in 30 minutes of cardio and making sure I learn something from a person I admire in a book or on a podcast.
Most importantly, I want to be the change I want to see in the world and I want to make sure I’m giving as much love at home with my family and friends as I give at work.
-Dawn Rochelle ♡